ENR Republicans Block Democrats' Attempt to End America's National Energy Emergency
WASHINGTON – Yesterday, U.S. Senator Mike Lee (R-Utah), Chairman of the Senate Committee on Energy and Natural Resources (ENR), led his Republican colleagues in speaking against S.J. Res. 10, an effort to end America’s National Energy Emergency. Among those who joined Chairman Lee in this effort were ENR committee members Senators John Barrasso (R-Wyo.), Jim Justice (R-W.Va.), and Lisa Murkowski (R-Alaska).
Excerpts from the floor time are included below:
Chairman Mike Lee
Unrelated to this text: calculated molecules:
........
Run A
Here is the ion C6H11N with charge -1 from the Open Molecules 2025 dataset. Energies are from wB97M-V/def2-TZVPD.

Calculated values
M, g mol⁻¹: 97.2
Highest occupied orbital energy (alpha / beta), eV: 0.230 / -1.758
Lowest unoccupied orbital energy (alpha / beta), eV: 4.2 / 4.2
Frontier orbital gap (alpha / beta), eV: 3.991 / 5.935
Charge: -1
Multiplicity: 2

CARTESIAN COORDINATES (ANGSTROEM)
C -0.887 0.790 -1.878
N 1.620 -0.496 -0.860
C 0.404 -0.452 -0.135
C -0.524 0.468 -0.458
C -1.119 1.388 0.651
C 1.122 -1.753 2.011
C 0.215 -1.265 1.075
H -0.234 1.119 -2.779
H -1.576 1.749 -1.855
H -1.502 0.076 -2.277
H 2.566 -0.684 -0.428
H 1.458 -0.120 -1.761
H -0.340 2.158 0.949
H -1.990 1.860 0.203
H -1.426 0.858 1.567
H 0.877 -2.649 2.608
H 2.104 -1.413 2.249
H -0.769 -1.634 1.117



Run B
Here is the ion C6H11N with charge -1 from the Open Molecules 2025 dataset. Energies are from wB97M-V/def2-TZVPD.

Calculated values
M, g mol⁻¹: 97.2
Highest occupied orbital energy (alpha / beta), eV: 1.077 / -3.618
Lowest unoccupied orbital energy (alpha / beta), eV: 4.3 / 4.1
Frontier orbital gap (alpha / beta), eV: 3.242 / 7.750
Charge: -1
Multiplicity: 2

CARTESIAN COORDINATES (ANGSTROEM)
C 0.583 -2.855 0.934
C -0.278 -1.800 0.968
N -0.784 -1.282 -0.196
C -1.451 -0.097 -0.602
C 1.206 2.666 0.008
C 0.355 1.410 -0.124
C -0.586 1.088 -1.098
H 1.168 -2.977 -0.029
H 0.439 -3.603 1.680
H -0.369 -1.183 1.928
H -0.639 -1.966 -0.935
H -1.958 0.400 0.203
H -2.128 -0.518 -1.366
H 1.023 3.362 -0.761
H 2.262 2.178 -0.204
H 1.173 2.887 1.121
H 0.613 0.684 0.597
H -0.630 1.606 -2.124



Which one sits at the top of the stability order? run A does.



Run A
Here is a cluster of 4 separate species, C7H18O3 in total from the Open Molecules 2025 dataset. Energies are from wB97M-V/def2-TZVPD.

Calculated values
M, g mol⁻¹: 150.2
Highest occupied orbital energy, eV: -9.524
Lowest unoccupied orbital energy, eV: 0.6
Frontier orbital gap, eV: 10.116

CARTESIAN COORDINATES (ANGSTROEM)
C 0.010 -2.465 -1.283
C -0.108 -0.975 -1.410
C 0.709 -0.283 -2.186
C -1.408 -0.407 -0.837
C -1.307 0.923 -0.106
C -0.842 2.095 -0.529
C -0.576 3.242 0.425
H 0.961 -2.810 -1.680
H -0.127 -2.752 -0.246
H -0.822 -2.970 -1.788
H 1.555 -0.771 -2.655
H 0.626 0.790 -2.273
H -1.883 -1.116 -0.190
H -2.011 -0.279 -1.743
H -1.496 0.858 0.956
H -0.677 2.376 -1.564
H -1.508 3.736 0.709
H 0.053 4.001 -0.029
H -0.107 2.917 1.358
H 1.862 -0.910 1.828
H 1.943 -2.433 1.768
O 1.536 -1.713 2.265
H -0.816 -1.792 2.778
H -1.070 -0.809 1.599
O -1.503 -1.329 2.280
H 1.828 1.306 1.369
H 2.618 0.811 0.110
O 2.561 0.758 1.073



Run B
Here is a cluster of 4 separate species, C7H18O3 in total from the Open Molecules 2025 dataset. Energies are from wB97M-V/def2-TZVPD.

Calculated values
M, g mol⁻¹: 150.2
Highest occupied orbital energy, eV: -9.009
Lowest unoccupied orbital energy, eV: 0.5
Frontier orbital gap, eV: 9.477

CARTESIAN COORDINATES (ANGSTROEM)
C 0.730 -0.866 -1.437
C -0.722 -1.295 -1.495
C -1.478 -1.359 -2.577
........
So much for the calculated molecules:
“… we cannot ignore the resulting crisis anymore. The power grid is buckling, energy demand is exploding, and the very people who created this mess are now telling us quite audaciously that there is no emergency. Why? Well, they claim that the United States is producing more energy than we have in American history. But, what they conveniently omit is that we’re consuming more energy than at any time in American history,” said Chairman Lee.
For the full remarks, click here.
Senator John Barrasso
-- begin --
{
  "formula": "C3H12N5",
  "method": "ωB97M-V/def2-TZVPD",
  "molar_mass_g_mol": 118.2,
  "smiles": "C[NH+](C)N1CNNN1",
  "lumo_ha": -0.1002,
  "homo_lumo_gap_ev": 11.12,
  "relative_energy_ev": 6.690,
  "total_charge": 1,
  "elements": ["N", "N", "N", "N", "N", "C", "C", "C", "H", "H", "H", "H", "H", "H", "H", "H", "H", "H", "H", "H"],
  "coordinates": [[0.83444, 1.88597, 0.06073], [-0.36293, 1.39712, -0.56399], [-0.56547, 0.26352, 0.20483], [0.23160, -0.80963, -0.34846], [0.48479, 1.91952, 1.41794], [-0.33022, -2.09821, 0.15302], [0.18185, -0.73397, -1.80541], [-0.04951, 0.55516, 1.56459], [-0.26174, -2.23027, 1.21372], [0.95942, 2.86842, -0.34162], [0.64126, -0.03689, 2.01954], [1.16812, -0.70805, 0.06455], [0.75820, 0.19905, -2.13000], [-1.26805, 1.89676, -0.52752], [-0.85345, -0.54722, -2.23170], [-1.39757, -2.30959, -0.09659], [-0.87696, 0.42173, 2.26649], [0.25740, -3.00767, -0.06729], [-0.12656, 2.63173, 1.53182], [0.57539, -1.55748, -2.38465]],
  "atomic_forces_ev_per_a": [[-0.265, 2.726, -1.904], [-0.401, -0.848, -0.258], [-0.959, -0.996, -0.056], [-0.599, -1.744, 0.193], [2.736, -2.834, 0.597], [-0.626, -2.055, 0.382], [0.210, 2.442, -3.031], [-2.752, 3.189, 0.189], [-0.106, 1.094, 0.970], [0.267, -1.603, 1.050], [2.642, -2.224, 0.145], [0.240, -0.064, -0.790], [-0.704, -1.531, 0.539], [0.933, 0.498, 0.410], [1.008, -0.359, 1.274], [0.972, 0.830, -0.308], [-0.192, 0.893, -0.103], [0.120, 0.822, -1.117], [-2.864, 2.413, 1.019], [0.341, -0.649, 0.798]]
}

~~~~~

Here is 2 unconnected molecules or ions with the total composition C4H7OP from the OMol25 dataset. Energies are from ωB97M-V with the def2-TZVPD basis set.

Values from the calculation:
LUMO, eV: -1.01
Net charge: 0
Energy above the lowest of the compared OMol25 structures with the same formula, charge and spin, kJ/mol: 236.3
Maximum force, eV/A: 2.9
SMILES: C=CC=C.O=P
DFT total energy, eV: -15594.9880

CARTESIAN COORDINATES (ANGSTROEM)
C 0.6445 -1.6283 0.3222
C 0.9258 -0.7270 -0.5701
C 0.7892 0.7063 -0.5093
C 1.0283 1.3843 0.6110
H 0.1729 -1.4292 1.2311
H 0.6136 -2.7286 0.0937
H 1.1921 -1.0878 -1.5432
H 0.4051 1.0905 -1.4323
H 0.7925 2.4255 0.7292
H 1.4561 0.8650 1.4597
O -2.4887 -0.7951 -0.3980
P -3.2050 0.4739 -0.3755
H -2.3263 1.4503 0.3813

~~~~~

1.
-- stop --
“The National Energy Emergency is part of President Trump’s swift actions to unleash American energy. It is part of a broader vision of affordable, reliable, American energy. Democrats oppose that. Democrats learned nothing from four years of failure,” said Senator Barrasso.
For the full remarks, click here.
Senator Jim Justice
“Why in the world do we in America need to blow our own legs off and turn China loose? India loose? Whomever it may be. That's what we're doing… I'm an absolute believer to embrace all the energy forms. We did 100%. But if you believe today that we can do without our fossil fuels, our great fossil fuels, and if you think we can do without them today, I say you're living in a cave. You're absolutely living in Fantasyland. Absolutely. If you don't believe that today, a year and a half from today, that we're going to have a crisis in this country off the chart as far as electricity, you need to wake up because that is what is coming,” said Senator Justice.
For the full remarks, click here.
Senator Lisa Murkowski
“We know that our country is blessed with extraordinary, extraordinary assets. We have the potential to become the world’s leading resource superpower. But in order to do that, we have to be able to produce more energy domestically, and we have to be able to extract more minerals. We have to be able to build more transmission lines. We need to be able to overhaul what is clearly a broken federal permitting process. And we can do this. We can do this in a way that is cheaper, that is more reliable, more clean, than any other nation in the world. But we’ve got to kind of dig out now from where we have been over these past four years, where we saw setback after setback for resource producing states like mine, the state of Alaska,” said Senator Murkowski.
For the full remarks, click here.